# Given
No. 1
This record from Alexandria via LeMat-Bulk describes a relaxed ZnTe2Br crystal. The functional is GGA-PBE.

Cell: 6.3988 6.3988 5.8535 Å, 77.13 77.13 33.42°
Fractional positions:
1 Br 0.8428 0.8428 0.6346
2 Te 0.0058 0.0058 0.9891
3 Te 0.1461 0.1461 0.2883
4 Zn 0.5053 0.5053 0.5880

As for the space-group type: No. 8. As for the excess energy over the best structure of this formula in the dataset: 7.5 kJ per mole of atoms.

No. 2
This record from Alexandria via LeMat-Bulk describes a relaxed ZnTe2Br crystal. The functional is GGA-PBE.

Cell: 5.9737 5.9737 5.7335 Å, 83.78 83.78 35.93°
Fractional positions:
1 Br 0.7500 0.7500 0.7500
2 Te 0.9306 0.9306 0.1018
3 Te 0.5694 0.5694 0.3982
4 Zn 0.2500 0.2500 0.2500

As for the space-group type: No. 12. As for the excess energy over the best structure of this formula in the dataset: 16.5 kJ per mole of atoms.

No. 3
This record from Alexandria via LeMat-Bulk describes a relaxed ZnTe2Br crystal. The functional is GGA-PBE.

Cell: 5.2028 5.2028 5.2028 Å, 60.00 60.00 60.00°
Fractional positions:
1 Zn 0.0000 0.0000 0.0000
2 Te 0.2500 0.2500 0.2500
3 Te 0.7500 0.7500 0.7500
4 Br 0.5000 0.5000 0.5000

As for the space-group type: No. 225. As for the excess energy over the best structure of this formula in the dataset: 53.8 kJ per mole of atoms.

No. 4
This record from Alexandria via LeMat-Bulk describes a relaxed ZnTeBr2 crystal. The functional is GGA-PBE.

Cell: 8.1108 8.1108 8.1108 Å, 154.01 139.09 49.11°
Fractional positions:
1 Br 0.1001 0.1001 0.0000
2 Br 0.8276 0.3276 0.5000
3 Te 0.3563 0.3563 0.0000
4 Zn 0.2161 0.7161 0.5000

As for the space-group type: No. 44.

No. 5
This record from Alexandria via LeMat-Bulk describes a relaxed ZnTeBr2 crystal. The functional is GGA-PBE.

Cell: 5.4276 5.4276 3.4959 Å, 90.00 90.00 90.00°
Fractional positions:
1 Br 0.0000 0.0000 0.0000
2 Br 0.5000 0.5000 0.0000
3 Te 0.5000 0.0000 0.5000
4 Zn 0.0000 0.5000 0.5000

As for the space-group type: No. 123.

No. 6
This record from Alexandria via LeMat-Bulk describes a relaxed ZnTeBr2 crystal. The functional is GGA-PBE.

Cell: 3.4463 4.3835 6.7436 Å, 90.00 90.00 90.00°
Fractional positions:
1 Br 0.0000 0.0000 0.9942
2 Br 0.0000 0.0000 0.5058
3 Te 0.5000 0.5000 0.2500
4 Zn 0.5000 0.5000 0.7500

As for the space-group type: No. 47.

No. 7
This record from Alexandria via LeMat-Bulk describes a relaxed ZnTeBr crystal. The functional is GGA-PBE.

Cell: 8.5102 8.0596 3.7508 Å, 83.73 70.29 25.98°
Fractional positions:
1 Br 0.0496 0.0496 0.9504
2 Te 0.2904 0.2904 0.7096
3 Zn 0.6600 0.6600 0.3400

As for the space-group type: No. 42.

No. 8
This record from Alexandria via LeMat-Bulk describes a relaxed ZnTe2Br crystal. The functional is GGA-PBE.

Cell: 3.6719 6.1814 5.8987 Å, 81.47 90.00 90.00°
Fractional positions:
1 Br 0.5000 0.6761 0.6357
2 Te 0.0000 0.0924 0.9990
3 Te 0.5000 0.3436 0.2454
4 Zn 0.0000 0.3878 0.6199

As for the space-group type: No. 6. As for the excess energy over the best structure of this formula in the dataset: 2.1 kJ per mole of atoms.

The following uncorrected formation energy values (in kJ/mol of formula units) correspond, in order, to the records above: -59 -23 126 -128 111 120 -64 -81.
The following VASP energy values (in eV/atom) correspond, in order, to the records above: -2.461 -2.367 -1.981 -2.272 -1.654 -1.630 -2.249 -2.517.
The following magnetization values (in μB per formula unit) correspond, in order, to the records above: 0.000 0.000 0.000 0.000 0.000 0.000 0.000 0.000.

* * * * *

Record 1
# GaPdO2 GGA-PBE optimized geometry
# crystal system = monoclinic
data_GaPdO2
_chemical_formula_sum 'Ga16 Pd16 O32'
_cell_length_a 8.989
_cell_length_b 9.887
_cell_length_c 10.544
_cell_angle_alpha 90.00
_cell_angle_beta 90.19
_cell_angle_gamma 90.00
_symmetry_space_group_name_H-M 'C 1 2/c 1'
_symmetry_Int_Tables_number 15
loop_
_symmetry_equiv_pos_as_xyz
'x,y,z'
'-x,-y,-z'
'-x,y,-z+1/2'
'x,-y,z+1/2'
'x+1/2,y+1/2,z'
'-x+1/2,-y+1/2,-z'
'-x+1/2,y+1/2,-z+1/2'
'x+1/2,-y+1/2,z+1/2'
loop_

# Brief
What is needed: copy the material above unchanged.

# Response
No. 1
This record from Alexandria via LeMat-Bulk describes a relaxed ZnTe2Br crystal. The functional is GGA-PBE.

Cell: 6.3988 6.3988 5.8535 Å, 77.13 77.13 33.42°
Fractional positions:
1 Br 0.8428 0.8428 0.6346
2 Te 0.0058 0.0058 0.9891
3 Te 0.1461 0.1461 0.2883
4 Zn 0.5053 0.5053 0.5880

As for the space-group type: No. 8. As for the excess energy over the best structure of this formula in the dataset: 7.5 kJ per mole of atoms.

No. 2
This record from Alexandria via LeMat-Bulk describes a relaxed ZnTe2Br crystal. The functional is GGA-PBE.

Cell: 5.9737 5.9737 5.7335 Å, 83.78 83.78 35.93°
Fractional positions:
1 Br 0.7500 0.7500 0.7500
2 Te 0.9306 0.9306 0.1018
3 Te 0.5694 0.5694 0.3982
4 Zn 0.2500 0.2500 0.2500

As for the space-group type: No. 12. As for the excess energy over the best structure of this formula in the dataset: 16.5 kJ per mole of atoms.

No. 3
This record from Alexandria via LeMat-Bulk describes a relaxed ZnTe2Br crystal. The functional is GGA-PBE.

Cell: 5.2028 5.2028 5.2028 Å, 60.00 60.00 60.00°
Fractional positions:
1 Zn 0.0000 0.0000 0.0000
2 Te 0.2500 0.2500 0.2500
3 Te 0.7500 0.7500 0.7500
4 Br 0.5000 0.5000 0.5000

As for the space-group type: No. 225. As for the excess energy over the best structure of this formula in the dataset: 53.8 kJ per mole of atoms.

No. 4
This record from Alexandria via LeMat-Bulk describes a relaxed ZnTeBr2 crystal. The functional is GGA-PBE.

Cell: 8.1108 8.1108 8.1108 Å, 154.01 139.09 49.11°
Fractional positions:
1 Br 0.1001 0.1001 0.0000
2 Br 0.8276 0.3276 0.5000
3 Te 0.3563 0.3563 0.0000
4 Zn 0.2161 0.7161 0.5000

As for the space-group type: No. 44.

No. 5
This record from Alexandria via LeMat-Bulk describes a relaxed ZnTeBr2 crystal. The functional is GGA-PBE.

Cell: 5.4276 5.4276 3.4959 Å, 90.00 90.00 90.00°
Fractional positions:
1 Br 0.0000 0.0000 0.0000
2 Br 0.5000 0.5000 0.0000
3 Te 0.5000 0.0000 0.5000
4 Zn 0.0000 0.5000 0.5000

As for the space-group type: No. 123.

No. 6
This record from Alexandria via LeMat-Bulk describes a relaxed ZnTeBr2 crystal. The functional is GGA-PBE.

Cell: 3.4463 4.3835 6.7436 Å, 90.00 90.00 90.00°
Fractional positions:
1 Br 0.0000 0.0000 0.9942
2 Br 0.0000 0.0000 0.5058
3 Te 0.5000 0.5000 0.2500
4 Zn 0.5000 0.5000 0.7500

As for the space-group type: No. 47.

No. 7
This record from Alexandria via LeMat-Bulk describes a relaxed ZnTeBr crystal. The functional is GGA-PBE.

Cell: 8.5102 8.0596 3.7508 Å, 83.73 70.29 25.98°
Fractional positions:
1 Br 0.0496 0.0496 0.9504
2 Te 0.2904 0.2904 0.7096
3 Zn 0.6600 0.6600 0.3400

As for the space-group type: No. 42.

No. 8
This record from Alexandria via LeMat-Bulk describes a relaxed ZnTe2Br crystal. The functional is GGA-PBE.

Cell: 3.6719 6.1814 5.8987 Å, 81.47 90.00 90.00°
Fractional positions:
1 Br 0.5000 0.6761 0.6357
2 Te 0.0000 0.0924 0.9990
3 Te 0.5000 0.3436 0.2454
4 Zn 0.0000 0.3878 0.6199

As for the space-group type: No. 6. As for the excess energy over the best structure of this formula in the dataset: 2.1 kJ per mole of atoms.

The following uncorrected formation energy values (in kJ/mol of formula units) correspond, in order, to the records above: -59 -23 126 -128 111 120 -64 -81.
The following VASP energy values (in eV/atom) correspond, in order, to the records above: -2.461 -2.367 -1.981 -2.272 -1.654 -1.630 -2.249 -2.517.
The following magnetization values (in μB per formula unit) correspond, in order, to the records above: 0.000 0.000 0.000 0.000 0.000 0.000 0.000 0.000.

* * * * *

Record 1
# GaPdO2 GGA-PBE optimized geometry
# crystal system = monoclinic
data_GaPdO2
_chemical_formula_sum 'Ga16 Pd16 O32'
_cell_length_a 8.989
_cell_length_b 9.887
_cell_length_c 10.544
_cell_angle_alpha 90.00
_cell_angle_beta 90.19
_cell_angle_gamma 90.00
_symmetry_space_group_name_H-M 'C 1 2/c 1'
_symmetry_Int_Tables_number 15
loop_
_symmetry_equiv_pos_as_xyz
'x,y,z'
'-x,-y,-z'
'-x,y,-z+1/2'
'x,-y,z+1/2'
'x+1/2,y+1/2,z'
'-x+1/2,-y+1/2,-z'
'-x+1/2,y+1/2,-z+1/2'
'x+1/2,-y+1/2,z+1/2'
loop_